The art of conversation
-- These records of crystals were left in the page by mistake --
+++
YGa5Co | meta-GGA r2SCAN | relaxed

POSCAR file:
```
YGa5Co
1.0
4.178 0.000 0.000
0.000 4.178 0.000
0.000 0.000 6.775
Y Ga Co
1 5 1
direct
0.000 0.000 0.000
0.000 0.500 0.312
0.000 0.500 0.688
0.500 0.000 0.312
0.500 0.000 0.688
0.500 0.500 0.000
0.000 0.000 0.500
```

## Properties
The symmetry is P4/mmm (123). As for the energy relative to the elements: -0.46 eV per atom.

Sr2H3I | meta-GGA r2SCAN | relaxed

POSCAR file:
```
Sr2H3I
1.0
4.243 0.000 0.000
-2.121 3.674 0.000
0.000 0.000 7.683
Sr H I
2 3 1
direct
0.333 0.667 0.321
0.667 0.333 0.679
0.000 0.000 0.500
0.333 0.667 0.643
0.667 0.333 0.357
0.000 0.000 0.000
```

## Properties
The symmetry is P-3m1 (164). As for the energy relative to the elements: -1.00 eV per atom.

Sr2HfO4 | meta-GGA r2SCAN | relaxed

POSCAR file:
```
Sr2HfO4
1.0
4.079 0.000 0.000
0.000 4.079 0.000
0.000 0.000 12.746
Sr Hf O
4 2 8
direct
0.000 0.000 0.147
0.000 0.000 0.853
0.500 0.500 0.353
0.500 0.500 0.647
0.000 0.000 0.500
0.500 0.500 0.000
0.000 0.000 0.336
0.000 0.000 0.664
0.000 0.500 0.000
0.000 0.500 0.500
0.500 0.000 0.000
0.500 0.000 0.500
0.500 0.500 0.164
0.500 0.500 0.836
```

## Properties
The symmetry is I4/mmm (139). As for the energy relative to the elements: -3.49 eV per atom. The energy above the most stable polymorph in this dataset comes out at 9 meV/atom.

MgZn5 | meta-GGA r2SCAN | relaxed

POSCAR file:
```
MgZn5
1.0
2.381 1.375 4.636
-2.381 1.375 4.636
0.000 -2.749 4.636
Mg Zn
1 5
direct
0.000 0.000 0.000
0.171 0.829 0.500
0.336 0.336 0.336
0.500 0.171 0.829
0.664 0.664 0.664
0.829 0.500 0.171
```

## Properties
The symmetry is R32 (155). As for the energy relative to the elements: 0.00 eV per atom.

Nb2C | meta-GGA r2SCAN | relaxed

POSCAR file:
```
Nb2C
1.0
11.036 0.000 0.000
0.000 3.106 0.000
0.000 0.000 4.992
Nb C
8 4
direct
0.046 0.250 0.246
0.203 0.250 0.734
0.297 0.750 0.234
0.454 0.750 0.746
0.546 0.250 0.254
0.703 0.250 0.766
0.797 0.750 0.266
0.954 0.750 0.754
0.124 0.750 0.990
0.376 0.250 0.490
0.624 0.750 0.510
0.876 0.250 0.010
```

## Properties
The symmetry is Pnma (62). As for the energy relative to the elements: -0.54 eV per atom.

LiYSn | meta-GGA r2SCAN | relaxed

POSCAR file:
```
LiYSn
1.0
9.323 0.000 0.000
-4.661 8.074 0.000
0.000 0.000 7.390
Li Y Sn
8 8 8
direct
0.167 0.335 0.000
0.167 0.833 0.000
0.333 0.667 0.627
0.335 0.167 0.500
0.665 0.833 0.000
0.667 0.333 0.127
0.833 0.167 0.500
0.833 0.665 0.500
0.000 0.000 0.296
0.000 0.000 0.796
0.026 0.513 0.302
0.487 0.513 0.302
0.487 0.974 0.302
0.513 0.026 0.802
0.513 0.487 0.802
0.974 0.487 0.802
0.167 0.333 0.567
0.167 0.833 0.567
0.333 0.167 0.067
0.333 0.667 0.035
0.667 0.333 0.535
0.667 0.833 0.567
0.833 0.167 0.067
0.833 0.667 0.067
```

## Properties
The symmetry is P6_3mc (186). As for the energy relative to the elements: -0.78 eV per atom.

=====

[1]
# Li3MnCo2O6 | the Materials Project database | PBE with a Hubbard U | optimized geometry
# energy above the most stable polymorph in this dataset	0.026	eV per atom
+++
-- The records of crystals stop here --
There's a fellow standing next to you at a social occasion, a business meeting, an elevator stop, or the neighborhood post office. You nod, he nods, you smile, he smiles.
Now what do you say?
''You can start with the weather or politics,'' says Margo Silberstein, who teaches the fine art of communication to adult education classes in the Washington, D.C., area, ''but it helps the conversation more if you share something about your feelings. If you're at a new exhibit or a high-powered business meeting, tell him, 'This is really exciting for me,' '' she suggests.
Expressing such feelings usually ''resonates to something in the other person ,'' Dr. Silberstein says. ''Our whole society is aimed at covering up, not letting people see how you feel. It just makes you more isolated.''
-- These calculated crystals were left in the entry by mistake --
Entry 1:
Below is a relaxed structure of TlReO4, with properties calculated at the r²SCAN level.

SG: P2_1/c, No. 14
M_tot, Bohr magnetons per cell: 0.0
DFT formation energy, eV/atom: -1.59
Total DFT energy (no corrections), eV/f.u.: -139.0

POSCAR file:
```
TlReO4
1.0
17.4121 0.0000 0.0000
0.0000 13.0668 0.0000
-0.0635 0.0000 5.6782
Tl Re O
12 12 48
direct
0.0795 0.1288 0.4769
0.0795 0.3712 0.9769
0.2460 0.6310 0.9894
0.2460 0.8690 0.4894
0.4146 0.1233 0.4936
0.4146 0.3767 0.9936
0.5854 0.6233 0.0064
0.5854 0.8767 0.5064
0.7540 0.1310 0.5106
0.7540 0.3690 0.0106
0.9205 0.6288 0.0231
0.9205 0.8712 0.5231
0.0831 0.6134 0.5324
0.0831 0.8866 0.0324
0.2500 0.1242 0.9855
0.2500 0.3758 0.4855
0.4170 0.6281 0.4940
0.4170 0.8719 0.9940
0.5830 0.1281 0.0060
0.5830 0.3719 0.5060
0.7500 0.6242 0.5145
0.7500 0.8758 0.0145
0.9169 0.1134 0.9676
0.9169 0.3866 0.4676
0.0087 0.6932 0.4377
0.0087 0.8068 0.9377
0.0762 0.5905 0.8349
0.0762 0.9095 0.3349
0.0780 0.0010 0.8755
0.0780 0.4990 0.3755
0.1711 0.6723 0.4772
0.1711 0.8277 0.9772
0.1808 0.2042 0.8593
0.1808 0.2958 0.3593
0.2104 0.0551 0.2170
0.2104 0.4449 0.7170
0.2827 0.0403 0.7693
0.2827 0.4597 0.2693
0.3274 0.1963 0.0916
0.3274 0.3037 0.5916
0.3482 0.7058 0.3576
0.3482 0.7942 0.8576
0.3733 0.5546 0.7114
0.3733 0.9454 0.2114
0.4574 0.5484 0.2820
0.4574 0.9516 0.7820
0.4898 0.7020 0.6217
0.4898 0.7980 0.1217
0.5102 0.2020 0.8783
0.5102 0.2980 0.3783
0.5426 0.0484 0.2180
0.5426 0.4516 0.7180
0.6267 0.0546 0.7886
0.6267 0.4454 0.2886
0.6518 0.2058 0.1424
0.6518 0.2942 0.6424
0.6726 0.6963 0.4084
0.6726 0.8037 0.9084
0.7173 0.5403 0.7307
0.7173 0.9597 0.2307
0.7896 0.5551 0.2830
0.7896 0.9449 0.7830
0.8192 0.7042 0.6407
0.8192 0.7958 0.1407
0.8289 0.1723 0.0228
0.8289 0.3277 0.5228
0.9220 0.5010 0.6245
0.9220 0.9990 0.1245
0.9238 0.0905 0.6651
0.9238 0.4095 0.1651
0.9913 0.1932 0.0623
0.9913 0.3068 0.5623
```

---

Entry 2:
Below is a relaxed structure of Tm6ReO12, with properties calculated at the r²SCAN level.

SG: R-3, No. 148
M_tot, Bohr magnetons per cell: 1.0
DFT formation energy, eV/atom: -3.56
Total DFT energy (no corrections), eV/f.u.: -402.5

POSCAR file:
```
Tm6ReO12
1.0
4.8079 2.7758 3.0424
-4.8079 2.7758 3.0424
0.0000 -5.5517 3.0424
Tm Re O
6 1 12
direct
0.1101 0.6439 0.8171
0.1829 0.8899 0.3561
0.3561 0.1829 0.8899
0.6439 0.8171 0.1101
0.8171 0.1101 0.6439
0.8899 0.3561 0.1829
0.5000 0.5000 0.5000
0.0699 0.3228 0.9105
0.0895 0.9301 0.6772
0.2011 0.5384 0.4230
0.3228 0.9105 0.0699
0.4230 0.2011 0.5384
0.4616 0.5770 0.7989
0.5384 0.4230 0.2011
0.5770 0.7989 0.4616
0.6772 0.0895 0.9301
0.7989 0.4616 0.5770
0.9105 0.0699 0.3228
0.9301 0.6772 0.0895
```

=====

This record from Materials Project describes crystalline Rb5GaO4 at its relaxed geometry. The functional is meta-GGA r2SCAN.

a = 6.946 Å, b = 21.371 Å, c = 11.788 Å
α = 90.00°, β = 90.00°, γ = 90.00°
Atoms (fractional coordinates):
Rb: 0.072 0.130 0.204
Rb: 0.072 0.370 0.704
Rb: 0.076 0.004 0.639
Rb: 0.076 0.496 0.139
Rb: 0.083 0.066 0.930
But a little isolation can be a good thing in some situations, says Carol Baldwin, who teaches conversation-making as well. ''People start out on Level I, '' she theorizes, ''talking about something neutral - like the weather, or a sports report - and they're really sizing each other up, establishing trust. This is a case where context is much more important than content.''
But if someone comes up and asks you what you do for a living, ''they've jumped to Level II and started to pry. People don't like it,'' she adds.
And if they start out talking about - or, worse, asking about - feelings and reactions, ''they've jumped to Level III, and people get really offended. What if someone came up to you and asked, out of the blue, 'What do you really think about the boss?' How would you answer him?''
Lightly, replies Art Gliner, a radio disc jockey who teaches humor in communication in the Washington area. ''There are very few occasions where humor isn't appropriate,'' he says, ''as long as it's done without sarcasm or by putting the other person down.''
By learning to ''think funny,'' Mr. Gliner says, the average person can keep a conversation going (as well as get it started) simply by pointing to the ''thing about the situation you're in with the other person that's a little bit absurd or oddball.'' Playing on words keeps such funny conversations going, ''though you don't have to make a joke about everything.''
''Europeans and academicians are really good at playing around with language and conversation,'' says Ms. Baldwin, ''and can keep a conversation going on Level I forever.'' But the people who are best at this sort of banter, she thinks, are those ''who are interested in life. They can think of dozens of things to talk about - what would the city be like without cars, how the skyline has changed in the last 10 years, hobbies, entertainment, transportation, sports , the cost of living, fashion, food....''
This is not the same as giving a prepackaged speech to each new person you meet, she points out. ''Start with your common situation - the decor of the room you're in, the reason why you're both there - and start to mine it.'' Such mining takes good listening skills, since you're trying to discover a topic mutually interesting to both participants.
''There used to be a course in communication that made students restate what they'd heard before giving an answer,'' says Dr. Silberstein, ''and it was extremely difficult for most people, because they don't listen.'' Unfortunately, conversation often reveals this flaw, ''because it doesn't take into account the other person in the conversation - it's just a recitation of facts.''
Some people, of course, are extremely hard to ''mine'' - they give terse answers to every question, or try to hide anything about themselves that could be the topic of a conversation. Ms. Baldwin advises asking questions ''that can't be answered with a 'yes' or 'no' - how and why questions, like, 'How did you get here?' instead of 'Did you have an easy trip?' '' she says. Then, encourage the other person to expand on his answers by showing that you're really listening.
Another good way to keep a conversation going - and get it down to a meatier level - is through a process of ''self-disclosure,'' says Dr. Silberstein. ''You tell them a little about yourself, and they tell you a little about themselves, and you tell them a little bit more.''
The experts also suggest ways to end a conversation gracefully. ''You don't need permission to leave,'' says Ms. Baldwin, ''and you don't have to give an excuse. Tell them, 'It's been nice talking with you, and I wish you well' with something - preferably something you've discussed in the conversation.''
''You don't have to be a professional comedian and leave them laughing,'' says Mr. Gliner, the humorist. ''Most people would appreciate just a smile. It can really make a difference in your day.''